(Request)
Next, filter the calculation results below: keep the lines with the word "Sm3".

(Material)
┌──
For Ba2In2O5, DFT lattice parameters and positions (GGA-PBE) gives the calculated PXRD pattern in this record (Cu Kα, 1.54184 Å).
Peak positions follow from Bragg's law for the DFT cell and can differ from measured ones.

Structure:
```
data_Ba2In2O5
_chemical_formula_sum 'Ba2 In2 O5'
_cell_length_a 4.170
_cell_length_b 8.734
_cell_length_c 4.321
_cell_angle_alpha 90.00
_cell_angle_beta 90.00
_cell_angle_gamma 90.00
_symmetry_space_group_name_H-M 'P 1'
_symmetry_Int_Tables_number 1
loop_
_symmetry_equiv_pos_as_xyz
'x,y,z'
loop_
_atom_site_label
_atom_site_type_symbol
_atom_site_fract_x
_atom_site_fract_y
_atom_site_fract_z
_atom_site_occupancy
Ba1 Ba 0.000 0.218 0.000 1
Ba2 Ba 0.000 0.782 0.000 1
In1 In 0.500 0.000 0.511 1
In2 In 0.500 0.500 0.431 1
O1 O 0.000 0.000 0.493 1
O2 O 0.000 0.500 0.236 1
O3 O 0.500 0.000 0.011 1
O4 O 0.500 0.273 0.563 1
O5 O 0.500 0.727 0.563 1
```

The 8 most intense peaks (2θ = 5–70°), most intense first:
| 2theta | Rel. int. |
| --- | --- |
| 29.78 | 100 |
| 29.07 | 87 |
| 29.62 | 78 |
| 52.07 | 33 |
| 53.09 | 32 |
| 51.78 | 28 |
| 43.40 | 25 |
| 41.35 | 21 |

***

For YCo2B2C, DFT lattice parameters and positions (GGA-PBE) gives the calculated PXRD pattern in this record (Cu Kα, 1.54184 Å).
Peak positions follow from Bragg's law for the DFT cell and can differ from measured ones.

Structure:
```
data_YCo2B2C
_chemical_formula_sum 'Y1 Co2 B2 C1'
_cell_length_a 5.741
_cell_length_b 5.741
_cell_length_c 5.741
_cell_angle_alpha 144.10
_cell_angle_beta 144.10
_cell_angle_gamma 51.68
_symmetry_space_group_name_H-M 'P 1'
_symmetry_Int_Tables_number 1
loop_
_symmetry_equiv_pos_as_xyz
'x,y,z'
loop_
_atom_site_label
_atom_site_type_symbol
_atom_site_fract_x
_atom_site_fract_y
_atom_site_fract_z
_atom_site_occupancy
Y1 Y 0.000 0.000 0.000 1
Co1 Co 0.250 0.750 0.500 1
Co2 Co 0.750 0.250 0.500 1
B1 B 0.354 0.354 0.000 1
B2 B 0.646 0.646 0.000 1
C1 C 0.500 0.500 0.000 1
```

The 8 most intense peaks (2θ = 5–70°), most intense first:
| 2theta | Rel. int. |
| --- | --- |
| 40.03 | 100 |
| 34.72 | 34 |
| 26.62 | 29 |
| 51.66 | 27 |
| 36.40 | 24 |
| 65.83 | 23 |
| 63.75 | 21 |
| 64.83 | 8 |

***

For Pm4Sm2DyTm, DFT lattice parameters and positions (GGA-PBE) gives the calculated PXRD pattern in this record (Cu Kα, 1.54184 Å).
Peak positions follow from Bragg's law for the DFT cell and can differ from measured ones.

Structure:
```
data_Pm4Sm2DyTm
_chemical_formula_sum 'Pm8 Sm4 Dy2 Tm2'
_cell_length_a 9.552
_cell_length_b 9.552
_cell_length_c 6.871
_cell_angle_alpha 110.95
_cell_angle_beta 110.95
_cell_angle_gamma 88.17
_symmetry_space_group_name_H-M 'P 1'
_symmetry_Int_Tables_number 1
loop_
_symmetry_equiv_pos_as_xyz
'x,y,z'
loop_
_atom_site_label
_atom_site_type_symbol
_atom_site_fract_x
_atom_site_fract_y
_atom_site_fract_z
_atom_site_occupancy
Pm1 Pm 0.242 0.751 0.997 1
Pm2 Pm 0.246 0.249 0.469 1
Pm3 Pm 0.249 0.246 0.969 1
Pm4 Pm 0.249 0.758 0.503 1
Pm5 Pm 0.751 0.242 0.497 1
Pm6 Pm 0.751 0.754 0.031 1
Pm7 Pm 0.754 0.751 0.531 1
Pm8 Pm 0.758 0.249 0.003 1
Sm1 Sm 0.000 0.500 0.000 1
Sm2 Sm 0.500 0.000 0.500 1
Sm3 Sm 0.500 0.500 0.000 1
Sm4 Sm 0.500 0.500 0.500 1
Dy1 Dy 0.000 0.500 0.500 1
Dy2 Dy 0.500 0.000 0.000 1
Tm1 Tm 0.000 0.000 0.000 1
Tm2 Tm 0.000 0.000 0.500 1
```

The 8 most intense peaks (2θ = 5–70°), most intense first:
| 2theta | Rel. int. |
| --- | --- |
| 30.03 | 100 |
| 40.71 | 88 |
| 26.83 | 45 |
| 64.21 | 23 |
| 60.65 | 17 |
| 53.29 | 13 |
| 69.15 | 12 |
| 60.77 | 9 |

***

For K3PdCl5, DFT lattice parameters and positions (GGA-PBE) gives the calculated PXRD pattern in this record (Cu Kα, 1.54184 Å).
Peak positions follow from Bragg's law for the DFT cell and can differ from measured ones.

Structure:
```
data_K3PdCl5
_chemical_formula_sum 'K6 Pd2 Cl10'
_cell_length_a 8.440
_cell_length_b 8.440
_cell_length_c 7.487
_cell_angle_alpha 90.00
_cell_angle_beta 90.00
_cell_angle_gamma 90.00
_symmetry_space_group_name_H-M 'P 1'
_symmetry_Int_Tables_number 1
loop_
_symmetry_equiv_pos_as_xyz
'x,y,z'
└──

(Result)
Sm3 Sm 0.500 0.500 0.000 1